-- Data --
=====
ORCA calculation (ωB97M-V with the def2-TZVPD basis set) on a cluster of 2 separate species, C4H5N3 in total.

Structure (XYZ):
```
12
C4H5N3, DFT ωB97M-V with the def2-TZVPD basis set
C -0.195 -0.191 0.178
C -1.272 -0.758 -0.133
N -1.992 -1.137 -1.119
C -1.256 -0.731 -2.212
N -0.094 -0.099 -2.181
C 0.471 0.195 -0.990
H -1.695 -0.963 -3.176
H 1.427 0.721 -1.009
N 1.166 0.743 2.347
H 1.623 -0.116 2.642
H 1.599 1.517 2.837
H 0.200 0.678 2.652
```

Values from the calculation:
- SMILES = C1=C=NC=NC=1.N
- HOMO level (Ha) = -0.335
- maximum force (eV/Å) = 0.661
- ΔE to the lowest compared entry with this formula, charge and spin (kJ/mol) = 433.84
- energy (eV) = -8695.3160

=====

ORCA calculation (ωB97M-V with the def2-TZVPD basis set) on a cluster of 3 separate species, C26H24BF5N2O10S in total at a distorted geometry.

Structure (XYZ):
```
69
C26H24BF5N2O10S, DFT ωB97M-V with the def2-TZVPD basis set
C 3.996 0.016 4.083
C 3.223 -0.249 2.912
C 2.491 -0.327 1.410
C 1.770 1.113 1.182
C 1.735 1.683 -0.354
C 3.252 1.780 -1.059
C 4.002 3.026 -0.232
O 5.206 3.418 -0.683
C 0.640 0.948 -1.345
C 0.068 2.000 -2.515
B -0.946 3.157 -1.975
O -2.404 3.083 -2.311
O -0.512 4.334 -1.196
C 1.572 -0.114 -2.247
O 1.712 0.070 -3.591
N 2.349 -1.277 -1.679
C 2.162 -2.563 -2.451
O 1.714 -3.644 -1.755
F 2.474 -2.801 -3.878
C -0.615 0.209 -0.571
N -0.458 -1.293 -0.396
C -1.084 -2.069 -1.572
O -1.605 -3.311 -1.357
F -1.108 -1.616 -2.980
C -1.202 -1.836 0.800
O -2.505 -1.734 1.064
F -0.388 -2.621 1.801
O -1.127 0.921 0.608
S 0.012 1.231 1.807
O -0.109 0.234 3.009
O -0.266 2.651 2.416
H 4.837 0.430 4.823
H 1.707 -1.197 1.432
H 3.348 -0.605 0.666
H 2.398 1.911 1.811
H 1.441 2.836 -0.229
H 3.912 0.838 -0.860
H 3.212 2.137 -2.174
H 3.513 3.508 0.739
H 0.950 2.525 -3.110
H -0.563 1.301 -3.249
H -2.792 2.321 -1.788
H -1.275 4.955 -1.005
H 3.386 -1.061 -1.785
H -1.520 0.294 -1.353
F -2.420 -9.520 -1.303
C -1.513 -8.608 -1.675
C -1.788 -7.257 -1.494
C -0.842 -6.306 -1.877
C 0.366 -6.717 -2.446
C 0.631 -8.076 -2.628
C -0.311 -9.026 -2.235
H -2.735 -6.956 -1.058
H -1.044 -5.248 -1.733
H 1.102 -5.975 -2.748
H 1.570 -8.393 -3.075
H -0.118 -10.086 -2.361
F -1.055 5.847 2.151
C -2.165 5.739 2.893
C -2.796 6.890 3.352
C -3.954 6.779 4.120
C -4.463 5.516 4.432
C -3.820 4.366 3.971
C -2.668 4.478 3.193
H -2.381 7.863 3.107
H -4.460 7.673 4.477
H -5.364 5.429 5.035
H -4.215 3.384 4.218
H -2.160 3.595 2.819
```

Values from the calculation:
- SMILES = C#CC[C@H]1[C@@H](CC=O)[C@@](CB(O)O)(C(=O)NC(=O)F)[C@@H](N(C(=O)F)C(=O)F)OS1(=O)=O.Fc1ccccc1.Fc1ccccc1
- HOMO level (Ha) = -0.327
- maximum force (eV/Å) = 10.499
- energy (eV) = -75888.9643

* * * * *

Formula: C20H60As7F42N5O5
Source: OMol25
Level of theory: ωB97M-V/def2-TZVPD

Structure (XYZ):
```
139
Properties=species:S:1:pos:R:3:forces:R:3
C 17.733 14.236 -15.568 -1.395 0.826 -0.382
C 17.285 15.743 -15.788 1.264 -1.159 0.438
C 18.094 16.287 -16.966 -1.350 -0.219 -0.956
O 17.477 15.659 -18.085 1.221 0.347 -2.559
C 18.035 16.148 -19.394 -1.247 -0.475 1.013
N 15.800 15.912 -16.113 0.320 0.116 0.348
H 15.674 16.783 -16.609 0.004 0.158 -0.617
H 15.371 15.149 -16.617 0.271 -0.556 -0.810
H 15.151 16.011 -15.346 0.171 0.038 1.487
H 18.819 14.175 -15.493 -0.218 0.207 0.283
H 17.414 13.622 -16.410 0.054 0.101 -0.255
H 17.240 13.805 -14.696 0.284 0.236 0.234
H 17.505 16.322 -14.891 -0.243 -0.067 0.044
H 19.152 16.032 -16.904 0.004 0.125 0.323
H 17.938 17.344 -17.182 0.376 0.486 0.781
H 17.330 15.823 -20.160 0.081 -0.280 0.159
H 19.030 15.783 -19.645 -0.012 -0.246 0.480
H 18.033 17.236 -19.461 0.059 0.152 0.467
C 21.302 9.887 -16.427 0.977 0.008 1.734
C 21.020 9.570 -14.903 -0.799 0.316 0.264
C 22.146 10.018 -13.910 0.534 -0.210 1.009
O 21.907 9.926 -12.504 -0.732 0.521 1.327
C 21.921 8.647 -11.753 0.165 -0.450 -2.931
N 19.724 10.313 -14.364 1.667 1.022 -1.046
H 19.491 10.139 -13.397 -0.070 -0.983 0.668
H 19.960 11.295 -14.377 0.612 0.730 0.274
H 18.913 10.363 -14.964 -0.485 -1.273 -0.662
H 20.461 9.912 -17.121 0.124 -0.393 0.452
=====
-- Job --
Please type out the material above from the first line to the one with "-1.196" with every line break kept.
-- Result --
ORCA calculation (ωB97M-V with the def2-TZVPD basis set) on a cluster of 2 separate species, C4H5N3 in total.

Structure (XYZ):
```
12
C4H5N3, DFT ωB97M-V with the def2-TZVPD basis set
C -0.195 -0.191 0.178
C -1.272 -0.758 -0.133
N -1.992 -1.137 -1.119
C -1.256 -0.731 -2.212
N -0.094 -0.099 -2.181
C 0.471 0.195 -0.990
H -1.695 -0.963 -3.176
H 1.427 0.721 -1.009
N 1.166 0.743 2.347
H 1.623 -0.116 2.642
H 1.599 1.517 2.837
H 0.200 0.678 2.652
```

Values from the calculation:
- SMILES = C1=C=NC=NC=1.N
- HOMO level (Ha) = -0.335
- maximum force (eV/Å) = 0.661
- ΔE to the lowest compared entry with this formula, charge and spin (kJ/mol) = 433.84
- energy (eV) = -8695.3160

=====

ORCA calculation (ωB97M-V with the def2-TZVPD basis set) on a cluster of 3 separate species, C26H24BF5N2O10S in total at a distorted geometry.

Structure (XYZ):
```
69
C26H24BF5N2O10S, DFT ωB97M-V with the def2-TZVPD basis set
C 3.996 0.016 4.083
C 3.223 -0.249 2.912
C 2.491 -0.327 1.410
C 1.770 1.113 1.182
C 1.735 1.683 -0.354
C 3.252 1.780 -1.059
C 4.002 3.026 -0.232
O 5.206 3.418 -0.683
C 0.640 0.948 -1.345
C 0.068 2.000 -2.515
B -0.946 3.157 -1.975
O -2.404 3.083 -2.311
O -0.512 4.334 -1.196